-- Contents --
Here is crystalline ZnOs3N at its relaxed geometry from Alexandria. Energies are from PBE-GGA.

Output
Offset from the most stable computed form   2.8328 eV/atom

Unit cell a=4.504 b=4.504 c=4.504 alpha=90.00 beta=90.00 gamma=90.00
Space group Pm-3m (No. 221)
Symmetry-distinct sites (fractional):
Zn  0.000  0.000  0.000 x1
Os  0.000  0.000  0.500 x3
N  0.500  0.500  0.500 x1


Here is crystalline ZnOsN2 at its relaxed geometry from Alexandria. Energies are from PBE-GGA.

Unit cell a=4.574 b=4.574 c=9.526 alpha=90.00 beta=90.00 gamma=90.00
Space group I-42d (No. 122)
Symmetry-distinct sites (fractional):
Zn  0.000  0.000  0.000 x4
Os  0.000  0.000  0.500 x4
N  0.227  0.250  0.625 x8


Here is crystalline ZnOsN2 at its relaxed geometry from Alexandria. Energies are from PBE-GGA.

Unit cell a=2.9690 b=2.9690 c=18.4877 alpha=90.00 beta=90.00 gamma=120.00
Space group R-3m (No. 166, hexagonal axes)
Symmetry-distinct sites (fractional):
Zn  0.0000  0.0000  0.0000 x3
Os  0.0000  0.0000  0.5000 x3
N  0.0000  0.0000  0.4008 x6


Formation energy (no corrections), respectively: 3.5007 0.4331 0.7967 eV/atom.

----------

1.
LiCrRePt2: relaxed, GGA-PBE.

Computed properties:
ρ: 9.6 g/cm³
Formation energy from the elements: 844 meV/atom
Crystal system: tetragonal
Calculated total energy: -0.4681 Ry per atom
Total moment: 2.154 μB per cell

a = 4.9051 Å, b = 4.5490 Å, c = 4.9051 Å
α = 90.00°, β = 90.00°, γ = 90.00°
Closest atoms and distances in Å follow each position.
Atoms (fractional coordinates):
Re (0.0000, 0.0000, 0.0000)  2 Cr 2.27, 4 Pt 2.45
Cr (0.0000, 0.5000, 0.0000)  2 Re 2.27
Li (0.5000, 0.5000, 0.5000)  8 Pt 3.34, 4 Cr 3.47
Pt (0.5000, 0.0000, 0.0000)  2 Re 2.45
Pt (0.0000, 0.0000, 0.5000)  2 Re 2.45



2.
TcTe2WI: relaxed, GGA-PBE.

Computed properties:
Formation energy without anion corrections: 671 kJ/mol of formula units
ρ: 7.0 g/cm³
Crystal system: tetragonal
Calculated total energy: -0.3557 Ry per atom
Total moment: 4.004 μB per cell
Energy above the most stable polymorph in this dataset: 0.0 meV per atom

a = 5.2633 Å, b = 5.2633 Å, c = 5.6704 Å
α = 90.00°, β = 90.00°, γ = 90.00°
Closest atoms and distances in Å follow each position.
Atoms (fractional coordinates):
I (0.0000, 0.0000, 0.5000)  2 W 2.84
Te (0.0000, 0.5000, 0.0000)  2 W 2.63
Te (0.5000, 0.0000, 0.0000)  2 W 2.63
W (0.0000, 0.0000, 0.0000)  4 Te 2.63, 2 I 2.84
Tc (0.5000, 0.5000, 0.5000)  4 I 3.72, 8 Te 3.87



3.
PuZnO4: relaxed, GGA-PBE.

Computed properties:
Formation energy without anion corrections: -1219 kJ/mol of formula units
ρ: 7.9 g/cm³
Crystal system: orthorhombic
Calculated total energy: -0.5888 Ry per atom
Total moment: 4.000 μB per cell

a = 4.9868 Å, b = 5.1126 Å, c = 6.1626 Å
α = 90.00°, β = 90.00°, γ = 90.00°
Closest atoms and distances in Å follow each position.
Atoms (fractional coordinates):
Zn (0.0000, 0.5000, 0.1827)  4 O 2.01-2.06
O (0.7252, 0.1841, 0.6148)  1 Zn 2.01, 2 Pu 2.18-2.22
O (0.2746, 0.2989, 0.3673)  1 Pu 1.90, 1 Zn 2.06
O (0.2254, 0.2989, 0.8673)  1 Pu 1.90, 1 Zn 2.06
Zn (0.5000, 0.5000, 0.6827)  4 O 2.01-2.06
Pu (0.5000, 0.0000, 0.3530)  2 O 1.90
O (0.7748, 0.1841, 0.1148)  1 Zn 2.01, 2 Pu 2.18-2.22
O (0.7746, 0.7011, 0.8673)  1 Pu 1.90, 1 Zn 2.06
O (0.7254, 0.7011, 0.3673)  1 Pu 1.90, 1 Zn 2.06
O (0.2748, 0.8159, 0.6148)  1 Zn 2.01, 2 Pu 2.18-2.22
O (0.2252, 0.8159, 0.1148)  1 Zn 2.01, 2 Pu 2.18-2.22
Pu (0.0000, 0.0000, 0.8530)  2 O 1.90



4.
Y2GaF: relaxed, GGA-PBE.

Computed properties:
Formation energy without anion corrections: -456 kJ/mol of formula units
ρ: 4.3 g/cm³
Crystal system: tetragonal
Calculated total energy: -0.4144 Ry per atom
Total moment: 0.000 μB per cell
Energy above the most stable polymorph in this dataset: 0.0 meV per atom

a = 5.6567 Å, b = 5.6567 Å, c = 7.5227 Å
α = 67.92°, β = 67.92°, γ = 90.00°
Closest atoms and distances in Å follow each position.
Atoms (fractional coordinates):
Y (0.8750, 0.8110, 0.7500)  2 F 2.38
F (0.2500, 0.7500, 0.5000)  4 Y 2.38
Ga (0.0000, 0.0000, 0.0000)  4 Y 2.77
-- Exercise --
The reader should quote the lines earlier on from the one with "2.27," to the one with "orthorhombic" without additions.
-- Reply --
Re (0.0000, 0.0000, 0.0000)  2 Cr 2.27, 4 Pt 2.45
Cr (0.0000, 0.5000, 0.0000)  2 Re 2.27
Li (0.5000, 0.5000, 0.5000)  8 Pt 3.34, 4 Cr 3.47
Pt (0.5000, 0.0000, 0.0000)  2 Re 2.45
Pt (0.0000, 0.0000, 0.5000)  2 Re 2.45



2.
TcTe2WI: relaxed, GGA-PBE.

Computed properties:
Formation energy without anion corrections: 671 kJ/mol of formula units
ρ: 7.0 g/cm³
Crystal system: tetragonal
Calculated total energy: -0.3557 Ry per atom
Total moment: 4.004 μB per cell
Energy above the most stable polymorph in this dataset: 0.0 meV per atom

a = 5.2633 Å, b = 5.2633 Å, c = 5.6704 Å
α = 90.00°, β = 90.00°, γ = 90.00°
Closest atoms and distances in Å follow each position.
Atoms (fractional coordinates):
I (0.0000, 0.0000, 0.5000)  2 W 2.84
Te (0.0000, 0.5000, 0.0000)  2 W 2.63
Te (0.5000, 0.0000, 0.0000)  2 W 2.63
W (0.0000, 0.0000, 0.0000)  4 Te 2.63, 2 I 2.84
Tc (0.5000, 0.5000, 0.5000)  4 I 3.72, 8 Te 3.87



3.
PuZnO4: relaxed, GGA-PBE.

Computed properties:
Formation energy without anion corrections: -1219 kJ/mol of formula units
ρ: 7.9 g/cm³
Crystal system: orthorhombic